Hospitals & Asylums    


New Sentence Describing Hospitals & Asylums HA-13-1-06

Anthony J. Sanders: 

_The page is interrupted by data records_
<<<
No. 1
First-principles (PBE) data for a relaxed Te4H4WAuN crystal, as listed in the Open Quantum Materials Database.

Properties
total DFT energy (no corrections)	-4.721	eV/atom
SG	P1

a b c (Å): 6.017 6.971 6.973
angles (deg): 79.30 64.45 64.49
Sites, in units of the cell vectors:
Au1 0.750 0.500 0.501
Te1 0.899 0.840 0.414
Te2 0.261 0.586 0.841
Te3 0.687 0.414 0.160
Te4 0.153 0.160 0.587
H1 0.513 0.057 0.121
H2 0.435 0.877 0.059
H3 0.686 0.942 0.874
H4 0.367 0.124 0.944
N1 0.500 0.000 0.999
W1 0.250 0.500 0.501

=====

No. 2
First-principles (PBE) data for a relaxed NaH3Au crystal, as listed in the Open Quantum Materials Database.

Properties
SG	P1
offset from the most stable computed form	0.00	kcal/mol of atoms

a b c (Å): 3.541 5.560 7.451
angles (deg): 100.37 101.92 106.49
Sites, in units of the cell vectors:
Na1 0.768 0.104 0.930
Na2 0.771 0.608 0.431
Au1 0.370 0.501 0.740
Au2 0.164 0.703 0.118
H1 0.826 0.153 0.477
H2 0.259 0.978 0.055
H3 0.087 0.443 0.206
H4 0.450 0.764 0.656
H5 0.663 0.067 0.385
H6 0.271 0.223 0.800

=====

No. 3
First-principles (PBE) data for a relaxed NaH3Au crystal, as listed in the Open Quantum Materials Database.

Properties
SG	C2/m
offset from the most stable computed form	0.57	kcal/mol of atoms

a b c (Å): 5.398 5.398 5.321
angles (deg): 119.43 119.43 59.01
Sites, in units of the cell vectors:
H1 0.279 0.279 0.280
H2 0.721 0.721 0.720
H3 0.768 0.232 0.232
H4 0.232 0.768 0.768
H5 0.232 0.768 0.232
H6 0.768 0.232 0.768
Na1 0.750 0.750 0.251
Na2 0.250 0.250 0.749
Au1 0.500 0.500 0.500
Au2 0.000 0.000 0.000

=====

# GdThGa PBE relaxed
data_GdThGa
_chemical_formula_sum 'Gd1 Th1 Ga1'
_cell_length_a 5.0221
_cell_length_b 5.0221
_cell_length_c 3.7381
_cell_angle_alpha 90.00
_cell_angle_beta 90.00
_cell_angle_gamma 120.00
_symmetry_space_group_name_H-M 'P 3 m 1'
_symmetry_Int_Tables_number 156
_symmetry_space_group_name_Hall 'P 3 -2"'
loop_
_atom_site_label
_atom_site_type_symbol
_atom_site_fract_x
_atom_site_fract_y
_atom_site_fract_z
Gd1 Gd 0.0000 0.0000 0.0000
Th1 Th 0.3333 0.6667 0.4497
Ga1 Ga 0.6667 0.3333 0.7819
# E_form ... -0.14 eV per atom
# Relative energy among the computed polymorphs ... 0.133 eV per atom
# Total magnetic moment ... 7.4 Bohr magnetons per cell

***

# PaWC PBE relaxed
data_PaWC
_chemical_formula_sum 'Pa1 W1 C1'
_cell_length_a 3.1294
_cell_length_b 3.1294
_cell_length_c 5.6276
_cell_angle_alpha 90.00
_cell_angle_beta 90.00
_cell_angle_gamma 120.00
_symmetry_space_group_name_H-M 'P 3 m 1'
_symmetry_Int_Tables_number 156
_symmetry_space_group_name_Hall 'P 3 -2"'
loop_
_atom_site_label
_atom_site_type_symbol
_atom_site_fract_x
_atom_site_fract_y
_atom_site_fract_z
Pa1 Pa 0.0000 0.0000 0.0000
W1 W 0.3333 0.6667 0.5026
C1 C 0.6667 0.3333 0.3067
# E_form ... 0.00 eV per atom
# Relative energy among the computed polymorphs ... 0.000 eV per atom
# Total magnetic moment ... 0.0 Bohr magnetons per cell

***

# Mg6Cd12Pd PBE relaxed
data_Mg6Cd12Pd
_chemical_formula_sum 'Mg18 Cd36 Pd3'
>>>


1. The Regular Session of the Committee on Nongovernmental Organizations 19-27 January 2006 in New York may describe the general consultative relationship between HA and the UN in one parliamentary sentence, by writing:

“Hospitals & Asylums (HA) is a nongovernmental US rule of law devoted to upholding scientific international development and human rights standards 

2. This sentence has been drafted to serve as a birthday present for the author’s mother whose birthday falls on Friday the 13th, this 2006.  In Hollywood this day is considered particularly unlucky. The responsibility of HA in this relationship can be found in Economic and Social Council resolution 1996/31, that directs non-governmental organizations (NGOs) in general and special consultative status to “submit to the Council Committee on Non-Governmental Organizations through the Secretary-General every fourth year a brief report of their activities, specifically as regards the support they have given to the work of the United Nations” (Article 61-c). 

3. Hospitals & Asylums (HA applied to the DESA NGO Section on 21 May 2005.  The application seems to have been accepted as timely and it is hoped that a general consultative relationship between the UN and HA will be consented to by ECOSOC this January 2006. 

Misplaced calculated crystals:
/*
This record from the Alexandria database describes crystalline CrPd2W at its relaxed geometry. The functional is GGA-PBE.

Output
Energy above the most stable polymorph in this dataset ... 0.386 eV/atom
Space group ... I-42d (122)

abc: 6.9806 6.9806 5.5731
angles: 51.22 51.22 90.00
Closest atoms and distances in Å follow each position.
Element x y z (fractional)
Cr1 0.5000 0.5000 0.0000  4 Pd 2.48, 2 W 2.59
Cr2 0.2500 0.7500 0.5000  4 Pd 2.48, 2 W 2.59
Pd1 0.6105 0.1250 0.2500  2 Cr 2.48, 2 Pd 2.60, 2 W 2.62
Pd2 0.1395 0.6250 0.2500  2 Cr 2.48, 2 Pd 2.60, 2 W 2.62
Pd3 0.3750 0.3895 0.7500  2 Cr 2.48, 2 Pd 2.60, 2 W 2.62
Pd4 0.8750 0.8605 0.7500  2 Cr 2.48, 2 Pd 2.60, 2 W 2.62
W1 0.0000 0.0000 0.0000  2 Cr 2.59, 4 Pd 2.62
W2 0.7500 0.2500 0.5000  2 Cr 2.59, 4 Pd 2.62


This record from the Alexandria database describes crystalline CrPd2W at its relaxed geometry. The functional is GGA-PBE.

Output
Energy above the most stable polymorph in this dataset ... 0.000 eV/atom
Space group ... Fm-3m (225)

abc: 4.4410 4.4410 4.4410
angles: 60.00 60.00 60.00
Closest atoms and distances in Å follow each position.
Element x y z (fractional)
Cr1 0.0000 0.0000 0.0000  8 Pd 2.72
Pd1 0.2500 0.2500 0.2500  4 Cr 2.72, 4 W 2.72
Pd2 0.7500 0.7500 0.7500  4 Cr 2.72, 4 W 2.72
W1 0.5000 0.5000 0.5000  8 Pd 2.72


This record from the Alexandria database describes crystalline Cr3PdW at its relaxed geometry. The functional is GGA-PBE.

Output
Energy above the most stable polymorph in this dataset ... 0.383 eV/atom
Space group ... Pm-3m (221)

abc: 4.4052 4.4052 4.4052
angles: 90.00 90.00 90.00
Closest atoms and distances in Å follow each position.
Element x y z (fractional)
Cr1 0.0000 0.5000 0.0000  2 Pd 2.20
Cr2 0.0000 0.0000 0.5000  2 Pd 2.20
Cr3 0.5000 0.0000 0.0000  2 Pd 2.20
Pd1 0.0000 0.0000 0.0000  6 Cr 2.20
W1 0.5000 0.5000 0.5000  12 Cr 3.11


This record from the Alexandria database describes crystalline YCrPd2W at its relaxed geometry. The functional is GGA-PBE.

Output
Space group ... P4/mmm (123)

abc: 4.7429 4.4112 4.7429
angles: 90.00 90.00 90.00
Closest atoms and distances in Å follow each position.
Element x y z (fractional)
Y1 0.5000 0.5000 0.5000  8 Pd 3.24, 4 W 3.35
Cr1 0.0000 0.0000 0.0000  2 W 2.21, 4 Pd 2.37
Pd1 0.0000 0.0000 0.5000  2 Cr 2.37
Pd2 0.5000 0.0000 0.0000  2 Cr 2.37
W1 0.0000 0.5000 0.0000  2 Cr 2.21


This record from the Alexandria database describes crystalline YCrPd3 at its relaxed geometry. The functional is GGA-PBE.

Output
Energy above the most stable polymorph in this dataset ... 1.109 eV/atom
Space group ... Pm-3m (221)

abc: 4.9588 4.9588 4.9588
angles: 90.00 90.00 90.00
Closest atoms and distances in Å follow each position.
Element x y z (fractional)
Y1 0.0000 0.0000 0.0000  6 Pd 2.48
Cr1 0.5000 0.5000 0.5000  12 Pd 3.51
Pd1 0.0000 0.5000 0.0000  2 Y 2.48
Pd2 0.0000 0.0000 0.5000  2 Y 2.48
Pd3 0.5000 0.0000 0.0000  2 Y 2.48
*/
The text goes on:

4. Justification and sympathy for the acceptance of HA for general consultative status can be found in General Comment No. 17 on the right of everyone to benefit from the protection of the moral and material interests resulting from any scientific, literary or artistic production of which he is the author at the 35th Session of the UN Committee on Economic, Social and Cultural Rights HA-1-12-05 of 7-27 November 2005 that was adopted on the 21st  establishes that there are three levels of obligations are imposed upon the state as the result of this right: to respect, protect and fulfill.  Respect requires that State parties refrain from interfering directly or indirectly with the right to benefit from the protection of the moral and material interests of the author.  The obligation to protect requires state parties to take measures to prevent third parties from interfering with the moral and material interests of the author.  Finally the obligation to fulfill requires the State to adopt appropriate legislative, administrative, budgetary, judicial promotional and other measures toward the full realization.  General Comment No. 3 paragraph 12 states that even in times of severe resource constraint the disadvantaged and marginalized individuals and groups in society must be protected by relatively low cost targeted programmes.  Such steps must be deliberate, concrete and targeted toward the full realization of everyone to benefit from the protection of moral and material benefits of works for which he or she is the author.  The progressive realization of this right over a period of time means that State Parties have a specific and continuing obligation to move expeditiously and effectively as possible towards the full realization.


5. In summary HA would like to address the issue of paying for the luxury of this general consultative relationship with the United Nations in money rather than merely in kind.  This is in fact, not solicited for by the NGO Section, and we will not confuse the Committee with what might be considered a bribe.  On the other hand HA is thankful for the fact that no attempt was made to extort money for the application process the applicant must do the preponderance of the work and in an ideal world would be entitled to money but none was requested.  The objective of HA in this consultative relationship is to heighten recognition of HA so HA is returned as the top Internet search engine response for Hospitals & Asylums and listed in human rights searches and to keep a head above the world table in regards to securing $24 annual dues + work State membership and consultative relationships with HA.  UN Publications has brought the concept of HA paying the UN a reasonable sum to light.  Every message says: To subscribe to the magazine, contact UN Publications at , call (800) 253-9646, or go to for details on a special internet offer of US$10 per year.  Please pass this UN Chronicle E-Alert on to anyone whom you think it might interest. For queries, call Belal Hassan at [212] 963-5115.          


6. Whereas the foundation of the HA international political campaign is actively engaged in encouraging all States to devote 1% of their taxable income to international development under Art. 23 of the Declaration on Social Progress and Development of 11 December 1969 the author feels compelled to relent in his plea of poverty in February and resolves to pay UN Publications $10 a year for continuing email service irregardless of the outcome of the Regular Session of the Committee on Nongovernmental Organizations 19-27 January 2006 in New York.


7. HA promises to continue monthly and quarterly HA email service to the UN for free in hopes of winning more voluntary contributions in kind from the Human Rights Committee and in effective $24 annual minimum contributions needed to make the HA list of members without being a like minded periodical publisher, responsive subscriber or dedicated researcher.

Sanders, Tony J. Hospitals & Asylums. New Sentence Describing Hospitals & Asylums (HA) HA-13-1-06 21 pgs.